Hi all,
Thanks for your responses. I just felt like I had to vent. Thanks for "hearing" me!
rnicole76 wrote:
you know these jws hiding under the disguise as a worldly person who is defending the religion.
hehehe!!! Transparent to us, but never to them. By the way, welcome to the forum. I see you are a newbie!!!
== Records of crystals that have nothing to do with the page ==
This entry pairs a crystal structure of CaTlAuSe with its computed PXRD pattern. Radiation: Cu Kα (weighted mean of Kα1 and Kα2). Structure: a structure optimized by DFT (GGA-PBE).

Atomic structure:
a b c (Å): 4.1277 6.5219 4.1315
angles (deg): 90.00 90.00 90.00
Fractional positions:
Ca  0.0000  0.0000  0.0000
Tl  0.5000  0.5000  0.5033
Au  0.0000  0.5000  0.0034
Se  0.5000  0.0000  0.5000

Principal peaks in the range 10 to 90 degrees two-theta, by angle:
(hkl)  2θ/deg  d/Å  intensity
0 1 0  13.58  6.522  88
0 2 0  27.35  3.261  67
1 0 1  30.62  2.920  100
1 1 1  33.63  2.665  44
1 2 1  41.51  2.175  94
2 0 0  43.85  2.065  38
2 1 0  46.11  1.968  19
2 2 0  52.46  1.744  58
1 4 1  65.56  1.424  30
3 2 1  78.98  1.212  31

=====

Computed PXRD pattern
Compound: LiHoNi2O4
Radiation: Cu Kα (λ = 1.5418 Å)
Structure: the PBE+U geometry in Alexandria
Lines closer than 0.1° are merged.

Structural model:
```
LiHoNi2O4
1.0
5.2648 0.0000 0.0000
0.0000 3.1949 0.0000
-1.6870 0.0000 5.0007
Li Ho Ni O
1 1 2 4
Direct
0.0000 0.0000 0.0000
0.0000 0.5000 0.5000
0.5000 0.0000 0.5000
0.5000 0.5000 0.0000
0.2574 0.0000 0.7584
0.2743 0.5000 0.2561
0.7257 0.5000 0.7439
0.7426 0.0000 0.2416
```

Peak list (10 most intense, 2θ = 10–80°, low angle first)
(0 0 1), 2θ 17.74, intensity 79.0
(1 0 -1), 2θ 20.74, intensity 54.0
(1 1 0), 2θ 33.30, intensity 33.7
(1 1 -1), 2θ 35.04, intensity 62.7
(2 0 0), 2θ 35.96, intensity 59.0
(1 1 1), 2θ 40.73, intensity 100.0
(2 0 -2), 2θ 42.21, intensity 44.9
(2 1 0), 2θ 46.14, intensity 27.1
(1 1 -3), 2θ 60.04, intensity 29.3
(2 0 2), 2θ 60.18, intensity 43.1

=====

Record 1
Calculated powder X-ray diffraction pattern
Compound: Ac3Ga2Ni
Radiation: Cu Kα X-rays
Structure: a DFT-relaxed cell (GGA-PBE, Alexandria)
Lines closer than 0.1° are merged.

Main lines, in order of rising 2θ (5 to 70 degrees two-theta):
- 25.18 deg, intensity 57.0
- 25.71 deg, intensity 76.1
- 28.44 deg, intensity 56.3
- 28.63 deg, intensity 40.2
- 29.20 deg, intensity 100.0
- 30.23 deg, intensity 42.0
- 32.59 deg, intensity 66.6
- 37.72 deg, intensity 38.6
- 41.38 deg, intensity 59.6
- 46.47 deg, intensity 36.8

Structure:
Lattice parameters (Å, degrees): 12.700 4.363 12.865 90.00 90.00 90.00
Fractional positions:
Ac  0.052  0.250  0.131
Ac  0.117  0.750  0.552
Ac  0.223  0.250  0.798
Ac  0.277  0.750  0.298
Ac  0.383  0.250  0.052
Ac  0.448  0.750  0.631
Ac  0.552  0.250  0.369
Ac  0.617  0.750  0.948
Ac  0.723  0.250  0.702
Ac  0.777  0.750  0.202
Ac  0.883  0.250  0.448
Ac  0.948  0.750  0.869
Ga  0.026  0.750  0.318
Ga  0.195  0.750  0.991
Ga  0.305  0.250  0.491
Ga  0.474  0.250  0.818
Ga  0.526  0.750  0.182
Ga  0.695  0.750  0.509
Ga  0.805  0.250  0.009
Ga  0.974  0.250  0.682
Ni  0.130  0.250  0.375
Ni  0.370  0.750  0.875
Ni  0.630  0.250  0.125
Ni  0.870  0.750  0.625


Record 2
Calculated powder X-ray diffraction pattern
Compound: AcSeS4
Radiation: Cu Kα X-rays
Structure: a DFT-relaxed cell (GGA-PBE, Alexandria)
Lines closer than 0.1° are merged.
Elsewhere wrote:
It may be the magazine with the most COPIES PRINTED, but it most certainly is not the most READ magazine.
The article is titled in a way to make it appear that the Watchtower is the most widely read. What a joke. Do the jws really think that people take these magazines to READ them? I figure householders take the magazines so the jws will go away. Unfortunately, householders then set in motion a pattern of being called on again and again, with the jws believing there is interest behind those doors. I think it would be useful if everyone who thought the jws at the door were a general nuisance (much like a fly buzzing in the room) ...if householders "just say no" it would leave a much clearer message of non-interest.
WuzLovesDubs wrote:
Just because there are 10 million copies made a month or whatever, doesnt mean the GREAT MAJORITY of them arent sitting in piles in closets and garages and in the bottoms of bookbags and at laundrymats TOTALLY unread. I know that I personally RARELY read any articles from ANY of those publications except those that we were "studying" and even those I read cursorily.
I love your comment. I know from my past experience that the majority of mags sat in a pile. I stretched my placements by leaving copies in mailboxes, etc. Not likely they were ever actually read. I certainly did not find interest at the doors...thank goodness. No karmic debt, except for sadly, my kids...
Ummm, I wonder if the circulation numbers include the "Member Copies"...? Cuz, how many members do the jws have now, anyway? I don't keep track of that useless information anymore...
lepermessiah wrote:
it should say most widely DISTRIBUTED magazine, also the most THROWN AWAY without being touched magazine, etc. It also brings back bad Saturday morning memories. ... At least the author did speak with some ex- and non-JWs. ...I place 95% of mine in bus stops, pay phones, laundrymats, and not-at-homes. I know that is the norm, so I wonder what percentage of those supposed 40 Million are actually read.
If only the whole world could see the jws the way we see them. As it stands, the publicity spin the dubs put on themselves to "sanitize themselves for public consumption" makes me gag.
Thanks again for "being there" for meeee!
Love youz!